Activity =
Filter the rows further below: keep the lines with the word "Sb".
Given =
........
(1)
Mg2CdPb | SCAN | single point on PBEsol structure

Cell: 3.339 5.311 5.610 Å, 99.66 107.32 90.00°
Positions (direct):
1 Pb 0.500 0.519 0.999
2 Mg 0.003 0.023 0.006
3 Mg 0.251 0.741 0.502
4 Cd 0.746 0.217 0.492

Results
space group: Cm, No. 8
final energy: -29.150 eV/atom


(2)
Mg2CdPb | SCAN | single point on PBEsol structure

Cell: 3.315 4.187 6.612 Å, 90.00 90.00 90.00°
Positions (direct):
1 Pb 0.500 0.500 0.000
2 Mg 0.000 0.000 0.736
3 Mg 0.000 0.000 0.264
4 Cd 0.500 0.500 0.500

Results
space group: Pmmm, No. 47
final energy: -29.188 eV/atom


(3)
Mg2CdPb | SCAN | single point on PBEsol structure

Cell: 3.656 3.656 7.102 Å, 90.00 90.00 90.00°
Positions (direct):
1 Pb 0.000 0.000 0.498
2 Mg 0.000 0.000 0.987
3 Mg 0.500 0.500 0.235
4 Cd 0.500 0.500 0.781

Results
space group: P4mm, No. 99
final energy: -29.083 eV/atom


(4)
MgCd2Pb | SCAN | single point on PBEsol structure

Cell: 3.376 3.376 9.846 Å, 80.13 80.13 60.00°
Positions (direct):
1 Pb 0.250 0.250 0.251
2 Mg 0.495 0.495 0.515
3 Cd 0.005 0.005 0.984
4 Cd 0.750 0.750 0.749

Results
space group: R3m, No. 160
final energy: -35.420 eV/atom


(5)
MgCd2Pb | SCAN | single point on PBEsol structure

Cell: 3.329 5.549 5.549 Å, 112.84 90.00 90.00°
Positions (direct):
1 Pb 0.500 0.500 0.500
2 Mg 0.500 0.000 0.000
3 Cd 0.000 0.500 0.000
4 Cd 0.000 0.000 0.500

Results
space group: Cmmm, No. 65
final energy: -35.422 eV/atom


(6)
MgCd2Pb | SCAN | single point on PBEsol structure

Cell: 3.278 4.332 6.575 Å, 90.00 90.00 90.00°
Positions (direct):
1 Pb 0.500 0.500 0.743
2 Mg 0.000 0.000 0.485
3 Cd 0.000 0.000 0.025
4 Cd 0.500 0.500 0.247

Results
space group: Pmm2, No. 25
final energy: -35.437 eV/atom


# LiTmSnHg

An optimized crystal structure of LiTmSnHg (PBE, Alexandria via LeMat-Bulk).

a b c (Å): 5.0626 5.0626 5.0626
angles (deg): 60.00 60.00 60.00
Sites, in units of the cell vectors:
Li 0.0000 0.0000 0.0000
Tm 0.5000 0.5000 0.5000
Sn 0.7500 0.7500 0.7500
Hg 0.2500 0.2500 0.2500

Results
Calculated formation energy (eV/atom): -0.50
Total energy (eV/atom): -3.173
Volume (Å³/f.u.): 91.75

=====

# TaAgTeN2

An optimized crystal structure of TaAgTeN2 (PBE, Alexandria via LeMat-Bulk).

a b c (Å): 4.1072 4.1072 5.1446
angles (deg): 90.00 90.00 90.00
Sites, in units of the cell vectors:
Ta 0.0000 0.0000 0.0000
Ag 0.5000 0.5000 0.0000
Te 0.5000 0.5000 0.5000
N 0.0000 0.5000 0.5000
N 0.5000 0.0000 0.5000

Results
Total energy (eV/atom): -4.866
Distance to the lowest polymorph of the same formula (meV/atom): 1779
Volume (Å³/f.u.): 86.78
Formation energy without anion corrections (meV/atom): 2033

=====

# La2TbSn

An optimized crystal structure of La2TbSn (PBE, Alexandria via LeMat-Bulk).

a b c (Å): 12.5650 12.5650 12.5650
angles (deg): 16.50 16.50 16.50
Sites, in units of the cell vectors:
La 0.0877 0.0877 0.0877
La 0.9123 0.9123 0.9123
Tb 0.5000 0.5000 0.5000
Sn 0.0000 0.0000 0.0000

Results
Calculated formation energy (eV/atom): 0.07
Total energy (eV/atom): -4.553
Distance to the lowest polymorph of the same formula (meV/atom): 529
Volume (Å³/f.u.): 139.61

=====

# Zr2SbTe

An optimized crystal structure of Zr2SbTe (PBE, Alexandria via LeMat-Bulk).

a b c (Å): 3.2713 3.2713 10.6570
angles (deg): 90.00 90.00 105.79
Sites, in units of the cell vectors:
Zr 0.0000 0.0000 0.0000
Zr 0.5000 0.5000 0.2210
Sb 0.5000 0.5000 0.7882
Te 0.0000 0.0000 0.4186

Results
Total energy (eV/atom): -6.459
Distance to the lowest polymorph of the same formula (meV/atom): 384
Volume (Å³/f.u.): 109.74
Formation energy without anion corrections (meV/atom): -369

=====

# AcAgAu

An optimized crystal structure of AcAgAu (PBE, Alexandria via LeMat-Bulk).

a b c (Å): 5.6598 5.6598 5.6598
angles (deg): 138.10 138.10 60.75
Sites, in units of the cell vectors:
Ac 0.0000 0.0000 0.0000
Ag 0.3250 0.3250 0.0000
Au 0.6627 0.6627 0.0000

Results
Calculated formation energy (eV/atom): -0.47
Total energy (eV/atom): -3.885
Distance to the lowest polymorph of the same formula (meV/atom): 115
Volume (Å³/f.u.): 79.98
........
Result =
Sb 0.5000 0.5000 0.7882